Weekly Climate Recap: Grid Carbon Intensity and Storage Mediums

William Younie
6 min readMar 24, 2024


Hello. This week we start on a sad note with the realization that methane emissions are drastically underreported by oil and gas companies. Further emissions analysis from Quinbrook shows a study on battery emissions when factoring in grid charging. Finally, and also emissions related, we see how green hydrogen that is called green actually is! Very distinctly intertwined with emissions and carbon intensity this week.

⛽ Methane Emissions in 2023

I feel like I have really had a disproportionate about of coverage on methane, seems like 30% of my story coverage seems to be about methane… Coincidentally, a report from IEA has the first sentence of their report on methane tracking in 2024 indicating that methane is responsible for ~30% of the rise in global temperatures since the industrial revolution.

The report is the first comprehensive report on methane since COP28 in December of last year finding that methane emissions in 2023 rose slightly in 2022. Not all is in vain! The report finds that if all methane pledges made by companies and countries are implemented fully and on time (good luck…) then methane emissions from fossil fuel would fall 50% by 2030.

The IEA has a wake up call for us though, in their analysis they find that methane emissions implied by existing O&G company reporting are 95% lower than the IEA estimate for 2023 as shown in the chart below.


Fret not! This underreporting will not last. With the rise of methane monitoring options out there as covered by me previously here, it is inevitable that these companies get called out in the near future.

Analyzing the countries where these emissions are coming from is interesting as we find that 66% of fossil fuel methane emissions came from the top 10 emitters. Seeing the US rise to king of production of fossil fuels, it is no surprise the US takes first spot from O&G operations followed by Russia. China methane emissions largely stem from the coal sector.

Takeaway: Methane, methane, methane, oh how I despise you. My hope is that the eyes of the world through satellites, planes, and anything else starts to track data more accurately and crack down on companies and countries that are massive polluters of this climate destroying molecule. The IEA report is us inching forward towards a state of better knowledge on the implications of methane emissions.

🔋 Understanding Battery Emissions

The pursuit of 24/7 clean energy is critical for corporations in their committal to a net zero future. Given the inherent variability of renewables, energy storage plays a critical role in providing power when renewable generation experiences gaps. However, companies procuring power discharged from a battery struggle to understand the source of the electron, after all, an electron from wind is the same as an electron from coal once it is in the grid.

Materials data, kept here for reference:
=====
Simulated powder diffractogram
Compound: SrNiO3
Radiation: CuKα
Structure: DFT lattice parameters and positions (GGA+U)

Crystal structure
```
SrNiO3
1.0
2.7198 -2.7305 0.0000
2.7198 2.7305 0.0000
-0.0007 0.0000 3.8393
Sr Ni O
1 1 3
Cartesian
0.0000 0.0000 0.0000
2.7194 -0.0576 1.9197
2.7198 0.0744 0.0000
1.3705 -1.3478 1.8476
4.0683 -1.3478 1.9917
```

Most intense lines, 10 to 80 degrees two-theta, by angle:
two_theta	I/Imax
32.80	200
32.93	1000
40.54	62
40.65	59
47.17	298
47.36	147
58.64	152
58.82	301
68.76	42
69.06	211
78.54	97
78.80	64

=====

Simulated powder diffractogram
Compound: SrNiO3
Radiation: CuKα
Structure: DFT lattice parameters and positions (GGA+U)

Crystal structure
```
SrNiO3
1.0
5.5022 0.0000 0.0000
-2.7480 4.7685 0.0000
-0.0205 -3.1585 9.0893
Sr Ni O
4 4 12
Cartesian
0.0000 0.0000 0.0000
-0.0126 0.0154 6.8139
2.7408 -1.5793 4.5446
2.7463 1.5946 2.2754
-0.0068 0.0079 3.4262
0.0005 3.1791 1.0823
2.7331 -1.5691 8.0070
2.7404 1.6021 5.6630
-0.0103 -1.5793 4.5446
-1.3740 2.3843 0.0000
-1.3843 0.8050 4.5446
-1.3999 2.3912 6.7519
-0.0090 1.5871 2.3383
1.3601 -0.7778 2.3322
2.7511 0.0000 0.0000
1.3771 2.3843 0.0000
1.3668 0.8050 4.5446
1.3735 2.3878 6.7571
2.7427 0.0229 6.7509
4.1335 -0.7812 2.3373
```

Most intense lines, 10 to 80 degrees two-theta, by angle:
two_theta	I/Imax
32.29	1000
32.53	981
40.08	149
46.49	747
57.42	191
57.85	250
58.02	310
67.51	144
68.14	212
76.94	81
77.11	80
77.40	107

=====

Simulated powder diffractogram
Compound: SrNiO3
Radiation: CuKα
Structure: DFT lattice parameters and positions (GGA+U)

Crystal structure
```
SrNiO3
1.0
3.8934 0.0000 0.0000
0.0000 5.4838 0.0000
0.0000 0.0000 11.1297
Sr Ni O
4 4 12
Cartesian
0.0000 0.0000 0.0000
0.0000 0.0000 5.5503
0.0000 2.7419 2.8067
0.0000 2.7419 8.3745
1.9467 0.0000 2.7659
1.9467 0.0000 8.3451
1.9467 2.7419 0.0365
1.9467 2.7419 5.5856
0.0000 0.0000 2.7350
0.0000 0.0000 8.2707
0.0000 2.7419 0.0652
0.0000 2.7419 5.6607
1.9467 1.3714 1.3998
1.9467 1.3690 4.2490
1.9467 1.3711 6.9658
1.9467 1.3727 9.6817
1.9467 4.1123 1.3998
1.9467 4.1148 4.2490
1.9467 4.1126 6.9658
1.9467 4.1111 9.6817
```

Most intense lines, 10 to 80 degrees two-theta, by angle:
two_theta	I/Imax
32.17	255
32.47	1000
32.66	246
39.82	76
46.50	378
46.66	188
57.55	194
57.80	95
58.15	281
67.99	216
77.27	82
77.50	81

=====

Simulated powder diffractogram
Compound: SrNiO3
Radiation: CuKα
Structure: DFT lattice parameters and positions (GGA+U)

Crystal structure
```
SrNiO3
1.0
3.8772 -7.8207 0.0000
3.8772 7.8207 0.0000
0.0000 0.0000 3.8762
Sr Ni O
4 4 12
Cartesian
1.9386 3.9104 0.0000
1.9171 0.0000 0.0000
1.9386 -3.9104 0.0000
5.8373 0.0000 0.0000
3.8772 5.8900 1.9381
3.8772 1.9336 1.9381
3.8772 -1.9336 1.9381
3.8772 -5.8900 1.9381
0.0000 0.0000 1.9381
1.8472 2.0045 1.9381
3.8772 5.8511 0.0000
3.8772 3.8830 1.9381
1.8472 -2.0045 1.9381
3.8772 1.9191 0.0000
3.8772 0.0000 1.9381
3.8772 -1.9191 0.0000
5.9072 2.0045 1.9381
3.8772 -3.8830 1.9381
3.8772 -5.8511 0.0000
5.9072 -2.0045 1.9381
```
=====

A new study from Quinbrook Infrastructure Partners seeks to understand and apply a methodology to better understand hourly matching for utility scale batteries. The net result was that new granular energy attribute certificates enabled 24/7 hourly matching. Outcomes:

  • Created hourly matching of discharge records to charge records
  • Implemented two discharge methods: FIFO and Target Percentage
  • Demonstrated hourly tracking of the origin and carbon footprint of the energy stored in the battery reservoir

The news is extremely positive as batteries are currently considered to actually increase emissions when the storage is used for arbitrage as:

  1. Storage enhances the value of energy sources it draws from by enabling greater generation while diminishing the value of competing energy sources upon discharge, potentially increasing the carbon intensity of the power mix if the drawn sources are more carbon-intensive than the competitors.
  2. Energy storage incurs losses, as every unit of energy stored also signifies some energy dissipated. The round-trip efficiency, which measures the energy released compared to that inputted, varies across technologies, typically falling between 40 to 90 percent.

Takeaway: The case study with the Byrd Ranch BESS asset by Quinbrook is super important as it focused on the ability to use BESS to actually reduce emissions. Given the inherent variability of BESS and the many services it can perform for the grid, understanding what makes it incentivize further renewable generation is critical.

🟩 Is Green Hydrogen Green?

An article from Wood Mackenzie came out in February 2024 but I just got around to reading it recently and thus made the executive decision to include it in this weeks wrap up if for no other reason that simply I can. The article is about deciphering the carbon intensity of hydrogen to better understand the emissions associated with hydrogen production. An extremely important topic to understand given hydrogen proponents view on how hydrogen will support our global clean economy.

What I want to focus on is how green hydrogen, that is hydrogen made with renewable energy, is potentially not emissions free depending on the grid. A very similar story to the one above on batteries but important regardless. The term green hydrogen implies that the electricity sourced for hydrogen production comes from renewable sources. However, if grid connected, to maximize electrolyzer use, hydrogen production facilities will aim to connect to the grid and produce as much as possible, meaning it is not necessarily all sourced from renewables if grid connected.

Due to this fact, the article estimates that hydrogen produced from grid power could have emissions as high as 50 kgCO2e/kgH2 which would make it worse than brown hydrogen.

Wood Mackenzie

The production of hydrogen and the associated emissions are generally a tale of 2 electrolyzers. Alkaline electrolyzers, popular in Chinese hydrogen production, tend to require continuous electrical load to operate safely, meaning a lack of flexibility when connected to the grid to scale up or down production depending on grid greeness. On the other hand, western PEM technology is more flexible and allows developers to match hydrogen production with renewable generation but this technology comes at a higher cost.

Takeaway: Carbon intensity of the grid matters to all those who aim to decarbonize and use the grid, which is, fairly all encompassing other than islanded systems. While hydrogen is being otuted as a clean fuel, it is critical to square that claim with the realities of the grid and the type of electrolyzer as that is truly what impacts the greeness of hydrogen.

What Else is in the News

• Records of crystals from another source follow:
~~~
Record 1
Theoretical powder diffractogram
Compound: AcErZnPb
Radiation: CuKα
Structure: a crystal structure in Alexandria, relaxed with GGA-PBE
Lines closer than 0.1° are merged.

Crystal structure
Cell: 5.4852 5.4852 5.4852 Å, 60.00 60.00 60.00°
Sites, in units of the cell vectors:
Ac 0.0000 0.0000 0.0000
Er 0.5000 0.5000 0.5000
Zn 0.2500 0.2500 0.2500
Pb 0.7500 0.7500 0.7500

The 10 most intense peaks (10 to 80 degrees two-theta), by angle:
two_theta, I/Imax
19.8, 10
22.9, 3
32.7, 100
38.5, 6
46.8, 19
51.3, 3
58.3, 39
68.4, 12
72.0, 2
77.9, 17



Record 2
Theoretical powder diffractogram
Compound: AcErSbPd
Radiation: CuKα
Structure: a crystal structure in Alexandria, relaxed with GGA-PBE
Lines closer than 0.1° are merged.

Crystal structure
Cell: 5.3817 5.3817 5.3817 Å, 60.00 60.00 60.00°
Sites, in units of the cell vectors:
Ac 0.0000 0.0000 0.0000
Er 0.5000 0.5000 0.5000
Sb 0.2500 0.2500 0.2500
Pd 0.7500 0.7500 0.7500

The 10 most intense peaks (10 to 80 degrees two-theta), by angle:
two_theta, I/Imax
20.2, 2
23.4, 7
33.3, 100
41.1, 2
47.8, 18
53.9, 4
59.5, 38
69.9, 12
74.9, 2
79.7, 16



Record 3
Theoretical powder diffractogram
Compound: AcErSi2Pd5
Radiation: CuKα
Structure: a crystal structure in Alexandria, relaxed with GGA-PBE
Lines closer than 0.1° are merged.

Crystal structure
Cell: 4.2849 4.2849 9.0832 Å, 90.00 90.00 90.00°
Sites, in units of the cell vectors:
Ac 0.0000 0.0000 0.0000
Er 0.0000 0.0000 0.5000
Si 0.5000 0.5000 0.3714
Si 0.5000 0.5000 0.6286
Pd 0.0000 0.5000 0.2451
Pd 0.0000 0.5000 0.7549
Pd 0.5000 0.0000 0.2451
Pd 0.5000 0.0000 0.7549
Pd 0.5000 0.5000 0.0000

The 10 most intense peaks (10 to 80 degrees two-theta), by angle:
two_theta, I/Imax
20.7, 10
28.6, 16
35.6, 100
39.7, 16
42.2, 40
59.3, 21
61.2, 12
69.4, 15
72.8, 25
75.4, 10



Record 4
Theoretical powder diffractogram
Compound: AcPm12Er6
Radiation: CuKα
Structure: a crystal structure in Alexandria, relaxed with GGA-PBE
Lines closer than 0.1° are merged.

Crystal structure
Cell: 8.8530 8.8530 8.8530 Å, 99.20 99.20 99.20°
Sites, in units of the cell vectors:
Ac 0.0000 0.0000 0.0000
Pm 0.0798 0.3541 0.3541
Pm 0.2413 0.5000 0.7587
Pm 0.2413 0.7587 0.5000
Pm 0.3541 0.0798 0.3541
Pm 0.3541 0.3541 0.0798
Pm 0.5000 0.2413 0.7587
Pm 0.5000 0.7587 0.2413
Pm 0.6459 0.6459 0.9202
Pm 0.6459 0.9202 0.6459
Pm 0.7587 0.2413 0.5000
Pm 0.7587 0.5000 0.2413
Pm 0.9202 0.6459 0.6459
Er 0.1038 0.1038 0.6575
Er 0.1038 0.6575 0.1038
Er 0.3425 0.8962 0.8962
Er 0.6575 0.1038 0.1038
Er 0.8962 0.3425 0.8962
Er 0.8962 0.8962 0.3425

The 10 most intense peaks (10 to 80 degrees two-theta), by angle:
two_theta, I/Imax
28.4, 36
29.3, 60
31.0, 66
31.3, 64
31.4, 100
33.8, 43
34.1, 44
34.2, 38
54.4, 30
56.0, 32



Record 5
Theoretical powder diffractogram
Compound: Ac2Pm5Er6
Radiation: CuKα
Structure: a crystal structure in Alexandria, relaxed with GGA-PBE
Lines closer than 0.1° are merged.

Crystal structure
Cell: 11.9467 20.5634 3.6545 Å, 90.00 90.00 90.00°
Sites, in units of the cell vectors:
~~~

  • Next-generation geothermal energy could provide up to 90 GW of clean power by 2050 in the U.S., aiding in the nation’s decarbonization efforts as shown in a new DOE report. Conventional geothermal power is currently limited by the need for naturally occurring hot rock reservoirs, but advanced geothermal developers can create their own reservoirs. The U.S. Department of Energy estimates an investment of $20-$25 billion by 2030 and $225-$250 billion by 2050 could unleash the full potential of next-gen geothermal technology. New techniques and technologies could expand geothermal capacity significantly, making it cost-competitive with other energy sources and opening opportunities in at least 18 states by 2050.
  • A great piece from Canary Media dives into how US energy consumption has remained stable, but the rise of bitcoin, data centres, and electric vehicles is causing a surge that could hinder climate goals. Electric utilities predict a need for substantial new power generation to accommodate data centres, electrification, and emerging industries like cryptocurrency and cannabis farming. This heightened demand has caught many providers off guard, leading to plans for new fossil fuel power plants instead of transitioning to renewable energy sources like solar and wind. The global impact is significant, with projections showing a doubling of electricity demand for data centres by 2026, highlighting the urgent need for a shift toward sustainable energy solutions.
  • A new piece from Utility Dive resurfaces a study completed in July of 2023 by NREL on Alaska pumped hydro. Alaska offers around 1,800 potential sites suitable for pumped storage hydropower plants, with a collective energy storage capacity of about 4 TWh, as detailed in a study by Argonne National Laboratory and the National Renewable Energy Laboratory. These facilities involve two reservoirs at different elevations to store energy by pumping water uphill and releasing it downhill to generate electricity when needed. The research highlights the potential for Alaska to develop more energy storage facilities to support a clean and resilient power system, particularly in areas like the Railbelt system, where integrating renewable resources like wind and solar power requires both short-term battery storage and long-term pumped storage solutions to ensure grid reliability.



William Younie

Interested in all things energy transition, climate change, and sustainability.